For almost 60 years the laser has been the technical standard for countless applications. The blue version is now revolutionizing industrial metal processing.

 “The laser is a solution seeking a problem,” said Theodore H. Maiman, the man who developed the first functional laser in 1960. The problems were not long in coming. As a result, lasers are now some of the most important and versatile tools in industry, science and research. But there are still plenty of challenges for these “light amplifiers.”

### These quantum chemistry results were left in the text by mistake
********
Record 1
Computed, not measured: the ion C4H10N3 with charge +1 in a non-equilibrium geometry, with ωB97M-V with the def2-TZVPD basis set.

The geometry in XYZ format:
```
17
Properties=species:S:1:pos:R:3:forces:R:3
C 2.075 0.680 0.180 2.41 2.22 -0.67
C -0.312 0.515 -0.438 -4.29 -3.51 5.18
C -1.333 1.064 0.549 -1.38 -2.20 -3.38
C 0.271 -2.012 -0.330 -0.98 1.48 -0.04
N 1.655 -0.363 0.757 -0.79 -2.12 0.01
N 1.244 1.413 -0.584 3.45 -0.97 1.45
N 0.282 -0.661 0.308 -0.30 0.47 -1.12
H 3.152 0.790 0.447 -0.54 1.09 -0.49
H -0.519 0.440 -1.427 -0.72 -0.90 -2.59
H -0.910 1.242 1.434 1.97 1.57 3.53
H -2.160 0.373 0.853 0.33 0.05 -0.73
H -1.786 1.885 0.090 -0.80 1.64 -0.18
H -0.491 -2.594 0.068 -1.41 -0.87 0.91
H 0.210 -2.077 -1.365 -0.45 0.98 -1.98
H 1.169 -2.399 -0.131 3.43 -1.94 1.21
H 1.119 2.377 -0.614 0.86 2.25 -0.49
H -0.089 -0.864 1.251 -0.79 0.75 -0.64
```
Forces are in eV/Å.

Computed properties:
**E_LUMO (spin up / spin down)**: -3.3 / -7.6 eV
**2S+1**: 3
**HOMO level (spin up / spin down)**: -9.42 / -16.16 eV
**Charge**: +1
**HOMO-LUMO gap (spin up / spin down)**: 6.1386 / 8.6042 eV
**Energy above the lowest of the compared OMol25 structures with the same formula, charge and spin**: 463.9 kJ/mol
**<S²>**: 2.0371
**E**: -8765.6247 eV

Results of the natural (NBO) charge analysis, in e, for atoms 1 through 4: 0.181 -0.095 -0.641 -0.401

***

Record 2
Computed, not measured: a structure of composition C13H28IrN3O4Si in a non-equilibrium geometry, with ωB97M-V with the def2-TZVPD basis set.

The geometry in XYZ format:
```
50
Properties=species:S:1:pos:R:3:forces:R:3
Ir -0.470 1.237 -0.426 0.69 1.64 0.02
C -1.324 2.348 2.183 0.15 0.10 0.16
N -0.371 1.335 1.671 -0.53 -0.53 -0.21
C -0.665 0.059 2.378 0.06 0.07 0.22
C 1.030 1.752 1.960 0.06 -0.03 0.22
C 1.961 1.010 1.036 0.27 0.03 0.12
N 1.638 1.352 -0.365 -0.14 -0.30 -0.16
C 2.264 0.360 -1.283 0.16 0.03 0.08
C 2.164 2.689 -0.718 0.11 0.02 0.14
H -1.173 2.481 3.256 0.00 0.00 0.00
H -2.342 2.002 2.022 -0.02 -0.04 0.02
H -1.174 3.294 1.674 0.02 0.03 -0.01
H -0.621 0.235 3.455 -0.02 0.02 -0.02
H 0.045 -0.707 2.094 0.02 -0.02 -0.02
H -1.655 -0.292 2.102 -0.02 0.01 -0.01
H 1.280 1.530 3.000 -0.10 0.00 0.03
H 1.097 2.832 1.835 0.00 0.00 -0.08
H 1.824 -0.065 1.146 0.01 -0.01 -0.02
H 3.006 1.239 1.266 -0.01 0.05 -0.05
H 3.352 0.425 -1.206 -0.01 0.03 0.02
H 1.958 0.579 -2.302 0.00 0.03 -0.02
H 1.926 -0.636 -1.017 0.00 0.00 -0.01
H 3.252 2.681 -0.625 0.01 0.02 0.00
H 1.757 3.458 -0.066 -0.02 -0.01 0.01
H 1.907 2.923 -1.745 0.00 -0.03 -0.08
O -0.774 3.225 -4.073 -0.01 0.00 0.02
C -0.535 2.739 -3.031 0.13 -0.02 0.01
O -0.223 1.658 -2.499 -0.52 -0.64 -0.16
C -0.521 4.055 -1.591 -0.15 -0.08 0.16
O -0.249 5.135 -1.961 -0.01 -0.02 -0.05
O -0.818 3.409 -0.567 0.26 0.11 0.04
N -2.543 1.218 -0.548 -0.21 0.00 -0.14
H -2.845 0.972 -1.488 -0.03 -0.07 0.02
H -2.857 2.170 -0.367 -0.21 -0.06 0.01
H -3.010 0.581 0.090 -0.02 -0.03 -0.03
C 1.345 -4.393 -0.230 0.08 -0.03 0.00
Si -0.403 -3.770 -0.360 -0.04 0.22 0.03
********


Light, the universal tool

Laser-welded joints are extremely stable and can withstand huge mechanical loads. Such strong welds are much in demand in the automotive and metalworking industries. Up to now, infrared lasers have been used to create the welds, but they cannot produce satisfactory results for all metals. There are problems with the most widely used metal in the world, namely copper.


Industrial processing of copper is essential if the “electric car for everyone” is to become a reality one day. This is because much more copper is needed for batteries and electric motors than for conventional cars. But anything that is a good electrical conductor also conducts heat well. In combination with the high reflectance of copper this makes it difficult to feed in enough energy to melt it in a controlled manner.

Here the piece breaks off for data records:
____________
{
  "formula": "C5H10INO3",
  "method": "wB97M-V/def2-TZVPD",
  "symbols": ["C", "C", "C", "C", "C", "N", "O", "O", "O", "I", "H", "H", "H", "H", "H", "H", "H", "H", "H", "H"],
  "positions_angstrom": [[1.1078, 0.1842, 1.2429], [1.8579, -0.5984, -0.9938], [0.7572, 0.1135, -0.2182], [-0.6317, -0.5080, -0.4665], [-1.6524, 0.2911, 0.3462], [-1.9029, 1.6569, -0.0930], [-2.0773, 2.5028, 0.7829], [-2.0646, 1.8111, -1.2949], [-0.7498, -1.8887, -0.1130], [-3.6426, -0.5729, 0.1163], [1.0208, -0.8333, 1.8880], [0.4191, 0.9424, 1.8845], [2.0295, 0.6875, 1.5668], [2.4482, -1.3020, -0.2865], [2.6869, 0.0846, -1.4696], [1.5180, -1.2725, -1.8688], [0.7314, 1.1320, -0.5285], [-0.8373, -0.4012, -1.6052], [-1.2420, 0.2315, 1.3997], [0.2235, -2.2607, -0.2892]],
  "forces_ev_per_a": [[-1.49, 0.17, 4.85], [2.47, -1.52, -1.19], [0.40, -0.67, 0.35], [-0.33, 0.56, -2.38], [0.16, -2.28, 1.19], [-0.60, 1.16, -0.05], [0.52, -0.64, -0.98], [0.51, 0.46, 0.70], [3.58, -0.24, -0.37], [0.50, -0.10, 0.43], [0.29, 2.12, -1.82], [0.97, -1.72, -1.66], [0.38, -0.63, -0.95], [-0.91, 1.02, -1.10], [-1.76, -1.03, 1.08], [0.19, 1.15, 1.29], [-0.32, 0.87, -0.66], [0.14, -0.05, 1.80], [-1.45, 0.46, -1.13], [-3.23, 0.90, 0.61]],
  "homo_ev": -9.81,
  "smiles": "CC(C)[C@@H](O)[C@H](I)[N+](=O)[O-]",
  "relative_energy_ev": 0.170
}

{
  "formula": "C22H20Cl2F9N2O4SSr",
  "method": "wB97M-V/def2-TZVPD",
  "symbols": ["Sr", "Cl", "C", "C", "C", "C", "C", "Cl", "C", "S", "H", "H", "H", "F", "C", "F", "F", "C", "O", "O", "C", "C", "N", "C", "C", "C", "O", "C", "C", "C", "C", "N", "C", "H", "H", "H", "H", "H", "H", "H", "H", "H", "H", "H", "H", "H", "H", "C", "C", "O", "C", "F", "F", "F", "C", "F", "F", "F", "H", "H", "H"],
____________

Blue beats infrared

“Highly reflective metals such as copper and gold absorb the blue light spectrum seven to twenty times better than infrared radiation,” explains Dr. Harald König, an expert in laser technology at OSRAM in Regensburg. The solution lies in using shorter wavelengths of light shifting into the blue range. Specifically, the wavelength of 450 nanometers is suitable for industrial processing of non-ferrous metals.”


That sounds quite easy. After all, blue semiconductor light has been around since the mid-90s. But initially there were no substrates for the semiconductor layers on which reliable blue lasers could be developed. “As a result, we had emitters with outputs and efficiencies far below the levels required for industrial applications,” says König. “Five years ago, there were only individual laser chips with outputs of only a few watts for applications in the blue spectral range. That was enough only for laser shows, and later for car headlights and projectors.” For a long time it was completely unthinkable for non-ferrous metal processing, which needs many times the power.

Raising the bar

The output of the emitters had to be increased. König points to the setup used to test the blue lasers. “We concentrated on making the leap into the kilowatt class. Over the past few years we had steadily improved the efficiency and output of the individual emitters and achieved more than two watts and improved the efficiency by almost 40 percent. Simply optimizing single emitters was a not very promising way of getting into the top league.”


Then came the idea of concentrated blue laser power. König combined 23 single emitters in parallel in a one-centimeter laser bar. “At the start of the project hardly anyone believed that this would also work for blue lasers. After all, a single defective emitter – and there will always be those – can ruin the overall performance of the bar and even melt the semiconductor.”


The purpose of the project, which was supported by the Federal Ministry for Education and Research (BMBF), was to prove that powerful blue laser bars were possible. The key elements were the so-called epitaxy process, in which layers are grown on the semiconductor substrates, and the chip design. The gallium nitride layers had to grow atom by atom into high-quality, homogeneous layers on the wafers. Improvements were made to output, homogeneity and reliability in a series of meticulous experiments. At the same time, the chip design and the number of high-quality emitters were optimized.

Molecular data, as found in the file =
{
  "formula": "C22H33N5S",
  "method": "wB97M-V/def2-TZVPD",
  "smiles": "CCCCN(CC)C(=S)Nc1ccc2nc(N3CCN(C)CC3)cc(C)c2c1",
  "fmax_ha_per_bohr": 0.01350,
  "e_tot_ev": -41636.1710,
  "multiplicity": 1,
  "de_lowest_kj_mol": 9.3,
  "symbols": ["C", "C", "C", "C", "N", "C", "C", "C", "S", "N", "C", "C", "C", "C", "N", "C", "N", "C", "C", "N", "C", "C", "C", "C", "C", "C", "C", "C", "H", "H", "H", "H", "H", "H", "H", "H", "H", "H", "H", "H", "H", "H", "H", "H", "H", "H", "H", "H", "H", "H", "H", "H", "H", "H", "H", "H", "H", "H", "H", "H", "H"],
  "coordinates": [[6.56872, 0.76972, 2.18457], [5.70958, -0.37784, 1.66939], [4.39393, 0.12839, 1.08201], [3.51160, -1.00356, 0.54482], [3.19506, -1.99459, 1.55798], [3.76651, -3.31494, 1.38472], [2.93558, -4.14901, 0.41296], [2.59134, -1.67009, 2.72196], [2.75754, -2.55143, 4.12021], [1.85981, -0.51336, 2.79591], [0.92366, -0.02556, 1.87677], [0.48145, 1.30322, 2.02959], [-0.43999, 1.83074, 1.17281], [-0.97055, 1.06006, 0.11567], [-1.87262, 1.63427, -0.69628], [-2.39777, 0.92669, -1.67991], [-3.29118, 1.56110, -2.48153], [-4.00758, 0.89201, -3.54577], [-4.76593, 1.91487, -4.38207], [-5.77995, 2.59572, -3.59394], [-6.26608, 3.77467, -4.27386], [-5.33318, 2.84001, -2.22535], [-3.81043, 2.85674, -2.09756], [-2.03071, -0.43123, -1.90436], [-1.11110, -1.03764, -1.09887], [-0.71767, -2.46533, -1.32263], [-0.53704, -0.28419, -0.03372], [0.40499, -0.80583, 0.86623], [6.04441, 1.31601, 2.96530], [7.50060, 0.39213, 2.59806], [6.80464, 1.46329, 1.38000], [6.26260, -0.92834, 0.90390], [5.49885, -1.06406, 2.49200], [4.59895, 0.81470, 0.25750], [3.84876, 0.68333, 1.84667], [4.04266, -1.52465, -0.25382], [2.59889, -0.57461, 0.11799], [3.79085, -3.80304, 2.36091], [4.79292, -3.22036, 1.02041], [3.38797, -5.12896, 0.28935], [1.92807, -4.28128, 0.80030], [2.87572, -3.66879, -0.56208], [1.70293, -0.21837, 3.75210], [0.88296, 1.89584, 2.83918], [-0.78743, 2.84606, 1.28051], [-3.29834, 0.37046, -4.19649], [-4.71905, 0.15680, -3.14329], [-5.26838, 1.40251, -5.20888], [-4.04026, 2.62331, -4.81942], [-6.64657, 3.48136, -5.25194], [-5.49095, 4.54372, -4.42084], [-7.08565, 4.20498, -3.70128], [-5.72796, 2.03774, -1.59007], [-5.74606, 3.78442, -1.86793], [-3.38388, 3.64106, -2.73537], [-3.49992, 3.04585, -1.06937], [-2.48803, -0.98979, -2.70522], [-1.24988, -2.87983, -2.17527], [-0.94947, -3.06603, -0.44410], [0.35266, -2.54083, -1.51112], [0.70773, -1.83823, 0.78515]],
  "mulliken_charge": [-1.44, -0.21, -0.59, -1.11, 0.73, -0.91, -1.17, -0.17, -0.37, -0.03, 0.23, -0.70, -0.85, -1.18, -0.48, 0.59, 0.12, -0.80, -1.13, -0.01, -1.06, -0.84, -0.48, -0.03, 0.52, -1.80, 1.01, -0.33, 0.33, 0.39, 0.35, 0.29, 0.26, 0.54, 0.18, 0.71, 0.12, 0.49, 0.29, 0.48, 0.25, 0.27, 0.34, 0.47, 0.46, 0.60, 0.34, 0.49, 0.38, 0.33, 0.36, 0.38, 0.23, 0.47, 0.16, 0.45, 0.36, 0.34, 0.38, 0.30, 0.66]
}



{
  "formula": "C3H30O13",
  "method": "wB97M-V/def2-TZVPD",
  "fmax_ha_per_bohr": 0.28255,
  "e_tot_ev": -30202.6144,
  "s2": 0.76,
  "multiplicity": 2,

The breakthrough

After three years of intense work the breakthrough came in 2019. A record output for a bar of 107 watts and a best value of 46 percent conversion efficiency were demonstrated. And for the first time there was proof that the bar concept also worked for blue lasers. The leap into the kilowatt class was achieved. On the basis of this world’s first blue high-output laser bar, partner company Laserline launched the first diode laser with a laser power of 1,500 W in June 2019.


Cutting even under water

This diode laser can even melt, cut and weld pure copper with high precision. It produces accurate smooth welds that are precise enough for highly sensitive electronic components, thin copper foil and copper sheet or for welding thin sheet metal for smartphone batteries.


And it even works under water. This opens up new fields of application such as welding attachments at port facilities and on ships. Or repairs to offshore wind parks, bridges and locks.


But research continues. The market demands ever increasing output, efficiency and durability. And there are applications beyond material processing. Since blue light can be converted relatively easily into white light, blue laser diodes could be used in the future as high-output light sources to replace conventional lighting solutions. Ultra-brilliant, maintenance-free and extremely bright, they could be used for example for airfield lighting or sports stadium floodlighting. The blue laser – the solution seeking a problem – now has no shortage of possible applications.